II. Country Assessment--Czech Republic

U.S. Government Assistance to and Cooperative Activities with Central and Eastern Europe
Bureau of European and Eurasian Affairs
January 2007

Country Overview

Country Facts
  • Map of Czech RepublicArea: 30,450 sq mi (78,866 sq km), slightly smaller than South Carolina 
  • Population: 10,235,455 (July 2006 est.) 
  • Population Growth Rate: -0.06% (2006 est.) 
  • Life Expectancy: Male 72.94 yrs., Female 79.69 yrs. (2006 est.) 
  • Infant Mortality: 3.89 deaths/1,000 live births 
  • Gross Domestic Product (GDP): $199.4 billion (2005 est.; purchasing power parity) 
  • GDP Per Capita Income: $19,500 (2005 est.; purchasing power parity) 
  • Real GDP Growth: 6% (2005 est.)

Overview of U.S. Government Assistance

In FY 2006, the USG provided an estimated $10.07 million in assistance to Czech Republic, including:

  • $2.05 million in democratic reform programs; 
  • $0.03 million in humanitarian programs; and 
  • $7.99 million in security, regional stability, and law enforcement programs.

The last year for new SEED bilateral funding to the Czech Republic was FY1997, although some additional SEED funding for public diplomacy and democracy initiatives were provided to Czech Republic and other graduated countries through FY 2006. Some forms of non-SEED funded U.S. assistance to the Czech Republic continued through FY 2003.

FY 2006 Assistance Overview


The U.S. and the Czech Republic share strong historical ties and fundamental values of democracy and market economics. As a legacy of its struggle against communist dictatorship, the Czech Republic has embraced a pro-transatlantic foreign policy and supported democratic transformation around the world. With its membership in the North Atlantic Treaty Organization (NATO), European Union (EU), and the World Trade Organization (WTO), combined with increasing awareness of its role in international affairs, the Czech Republic has proven an important ally in promoting democracy, market reforms, anti-terrorism, and non-proliferation.


Due to the Czech Republic's success in implementing free market, democratic reforms, the USG no longer provides broad, transitional assistance. In FY 2006, the vast majority of USG funds provided to the Czech Republic went towards promoting peace and security by improving the Czech military's professionalism, interoperability with NATO forces, and niche capacity.


The Czech Republic has transitioned into a mature and open democracy. The June 2006 general elections resulted in a stalemate with the Civic Democrat party (ODS) winning the largest number of votes but not enough to form a majority government. After numerous attempts at forming a coalition, the ODS opted for a minority government, which resulted in a failed vote of confidence on October 3. The Czech Constitution calls for three attempts at government formation before early elections are called. As of December 1, 2006, the second attempt at government formation is underway without a predictable outcome. The situation dampens prospects for serious economic reforms.

The Czech Republic remains very receptive to U.S. military assistance and training. In recent years the Czech Republic has participated fully in international crisis interventions. A NATO member since 1999, the Czech Republic has been a good example for later entrants and aspirants - reforming its military and specializing in its strengths with a world-class nuclear, biological, and chemical defense capability. The country's transatlantic orientation is evident in its strong support for Alliance enlargement, and its active cooperation in responding to the threat of terrorism.

FY 2006 Country Program Performance

Governing Justly and Democratically

Despite the success of the Czech Republic in transitioning to an open parliamentary democracy, a September 2005 public opinion poll identified corruption as the leading problem in the Czech Republic. Several attempts were made to deal with the problem, including introduction of a conflict of interest bill and a code of ethics in parliament. As of year end, neither had been successfully implemented.


The USG no longer provides bilateral transition assistance to the Czech Republic for democratic reform. However, in FY 2006 the USG provided several small grants to promote further reform in priority areas. Alumni activities for prior assistance recipients remained a productive way for the USG to engage the Czech Republic on a range of civic and democracy-related issues.

Attached: records of crystals:
=====
The following is a DFT calculation (GGA-PBE) of a geometry-optimized Si2TcIr structure.

Geometry as CIF:
```
data_Si2TcIr
_symmetry_space_group_name_H-M 'F -4 3 m'
_symmetry_Int_Tables_number 216
_symmetry_space_group_name_Hall 'F -4 2 3'
_cell_length_a 6.1107
_cell_length_b 6.1107
_cell_length_c 6.1107
_cell_angle_alpha 90.00
_cell_angle_beta 90.00
_cell_angle_gamma 90.00
loop_
_atom_site_label
_atom_site_fract_x
_atom_site_fract_y
_atom_site_fract_z
_atom_site_occupancy
Si1 0.0000 0.0000 0.0000 1
Si2 0.2500 0.2500 0.2500 1
Tc1 0.0000 0.0000 0.5000 1
Ir1 0.2500 0.2500 0.7500 1
```



The following is a DFT calculation (GGA-PBE) of a geometry-optimized Th2Si5Ir3 structure.

Geometry as CIF:
```
data_Th2Si5Ir3
_symmetry_space_group_name_H-M 'I b a m'
_symmetry_Int_Tables_number 72
_symmetry_space_group_name_Hall '-I 2 2c'
_cell_length_a 10.0746
_cell_length_b 11.6242
_cell_length_c 5.9802
_cell_angle_alpha 90.00
_cell_angle_beta 90.00
_cell_angle_gamma 90.00
loop_
_atom_site_label
_atom_site_fract_x
_atom_site_fract_y
_atom_site_fract_z
_atom_site_occupancy
Th1 0.2308 0.1303 0.0000 1
Si1 0.0000 0.0000 0.2500 1
Si2 0.0000 0.2716 0.2500 1
Si3 0.1503 0.3903 0.0000 1
Ir1 0.0000 0.5000 0.2500 1
Ir2 0.1143 0.1383 0.5000 1
```



The following is a DFT calculation (GGA-PBE) of a geometry-optimized ThSi2Ir2 structure.

Geometry as CIF:
```
data_ThSi2Ir2
_symmetry_space_group_name_H-M 'I 4/m m m'
_symmetry_Int_Tables_number 139
_symmetry_space_group_name_Hall '-I 4 2'
_cell_length_a 4.2485
_cell_length_b 4.2485
_cell_length_c 10.0034
_cell_angle_alpha 90.00
_cell_angle_beta 90.00
_cell_angle_gamma 90.00
loop_
_atom_site_label
_atom_site_fract_x
_atom_site_fract_y
_atom_site_fract_z
_atom_site_occupancy
Th1 0.0000 0.0000 0.0000 1
Si1 0.0000 0.5000 0.2500 1
Ir1 0.0000 0.0000 0.3670 1
```



The following is a DFT calculation (GGA-PBE) of a geometry-optimized Th2Si3Ir structure.

Geometry as CIF:
```
data_Th2Si3Ir
_symmetry_space_group_name_H-M 'F m m m'
_symmetry_Int_Tables_number 69
_symmetry_space_group_name_Hall '-F 2 2'
_cell_length_a 8.2315
_cell_length_b 8.5040
_cell_length_c 14.2285
_cell_angle_alpha 90.00
_cell_angle_beta 90.00
_cell_angle_gamma 90.00
loop_
_atom_site_label
_atom_site_fract_x
_atom_site_fract_y
_atom_site_fract_z
_atom_site_occupancy
Th1 0.0000 0.2496 0.0000 1
Th2 0.2500 0.2500 0.2500 1
Si1 0.0000 0.0000 0.1661 1
Si2 0.2491 0.0000 0.0833 1
Ir1 0.0000 0.0000 0.3327 1
```



| no. | DFT total energy (eV per atom) |
| --- | --- |
| 1 | -7.333 |
| 2 | -7.859 |
| 3 | -8.134 |
| 4 | -7.620 |

----------

1.
Here is LiTlCoTc after structural relaxation from OQMD via LeMat-Bulk. Energies are from PBE.

Summary:
Its symmetry is F-43m.

abc: 4.3288 4.3288 4.3288
angles: 60.00 60.00 60.00
With the nearest neighbours (Å) after each atom.
Positions (direct):
=====


The USG provided small grants to Czech non-profit organizations for projects related to democratic reform. These projects included: support of multicultural and human rights education; enabling free access to information; and developing codes of conduct for government officials. Cooperation with former assistance grantees continued in the broader field of promoting corporate social responsibility, raising public awareness of corporate philanthropy, and NGO management.

Economic Growth

Despite unprecedented macroeconomic stability and significant Gross Domestic Product (GDP) growth, the Czech economy continues to face significant challenges. Structural reforms in fiscal policy and labor markets are particularly pressing for Czech competitiveness in attracting foreign direct investments and for eventual adoption of the euro. In 2007, the Czech Republic is expected to miss its Maastricht criteria for fiscal deficit for the first time since joining the EU, due to new laws passed in the run-up to the June 2006 elections that significantly increased social welfare spending. Consequently, the Czech Government announced in October 2006 that it would delay adoption of the euro from 2010 to an unspecified date. With one of the fastest aging populations in Europe and one of the lowest fertility rates in the world, reform in the social benefits system will have significant impact on the fiscal sustainability of the Czech economy.


Due to the Czech Republic's successful implementation of free market reforms, the USG no longer provides broad economic development assistance. However, the USG provided small grants for intellectual property rights-related training.


In FY 2006, the USG provided funding for four candidates from the Czech Republic to receive training at the U.S. Patents and Trademarks Office in Washington. A fifth candidate attended the program on Czech Government funding.

Peace and Security

The Czech Republic is a member of both NATO and the European Union and contributes to several international security efforts. Defense modernization efforts continue as the Czech Government develops its security policies to ensure the Czechs are fully interoperable with NATO and U.S. forces. Czech security doctrine enhances the international deployment capabilities for its security forces.


USG assistance to the Czech Republic focused on achieving US- and NATO-interoperable "niche" capabilities as well as continuing deployment of forces to support the Global War on Terror (GWOT). Assistance related to law enforcement worked to ensure the continuation of strong and active Czech support in the battle against terrorism and against those who support or finance terrorist activities.


In FY 2006, the USG security assistance to the Czech Republic worked to increase the ability of the Army of the Czech Republic to prepare and deploy forces that can provide required support to NATO and coalition operations, assist in the development and enhancement of NATO-supported niche capabilities and support the ability of the Czech Republic to meet its NATO Force Goals, and assist in the implementation of defense reform activities required to maximize military capabilities available to NATO and coalition operations.

USG assistance funded conferences in the Czech Republic on terrorist finance and organized crime as well as a program for investigators and prosecutors on public corruption. This assistance made possible a program on trafficking in persons and forced labor for law enforcement, judges, prosecutors and, government officials. The USG sponsored prosecutors and law enforcement professionals to participate in exchanges and visitor programs.

The USG also provided funds to the Czech Republic for training on issues such as cyber crime and organized crime, and provided small grants, exchanges, and speakers' tours on issues related to the transatlantic security dialogue, fighting global terrorism, and combating trafficking in persons.


Through USG military education and training assistance, 90 students attended training courses and educational programs in the U. S., and two Mobile Training Teams from the Defense Institute of International Legal Studies conducted training in the Czech Republic for 60 military personnel. The Czech Republic routinely placed its senior service school graduates in key leadership positions throughout its Ministry of Defense and the General Staff of the Czech Armed Forces.

The USG supported the Central European organized crime working group as well as workshops on combating public corruption, learned from U.S. counter-terrorism cases and ties between terrorism financing and organized crime. The seminar on combating public corruption funded the travel of two senior U.S. prosecutors to for workshops with Czech Government officials, law enforcement, prosecutors and judges. The counter-terrorism workshop brought three experienced prosecutors and investigative agency employees to the Czech Republic for the seminar that included representatives from the Czech intelligence agencies, law enforcement and government officials. The week-long workshop on terrorism financing and organized crime brought four U.S. law enforcement officials to the Czech Republic to work with prosecutors, judges, law enforcement and government officials. The USG also provided funding for small grants to promote transatlantic security dialogue and issues related to fighting global terrorism. The USG provided funds to support a program to assist in the area of combating trafficking in persons.


The Czech Republic used USG military financing assistance to enhance its ability to operate in coalition and NATO operations, reform its military planning capability, and modernize its equipment. As of the end of FY 2006, active cases included modernization of the Czech rapid reaction/special forces with specialized equipment in support of their NATO "niche" capabilities and interoperability. The Czech Republic began exploring options for establishing Strategic Airlift capabilities to meet its commitments to NATO, with 2008 as the target year for the release of a tender for aircraft. U.S. officers assisted with the evaluation of the C-130J as a potential model to fulfill this commitment.

Alumni of USG military education and training programs continued to fill top leadership positions of the Army of the Czech Republic and the Ministry of Defense. USG training supported the professionalization of the armed forces, especially in the area of non-commissioned officer (NCO) leadership development, a critical requirement for the Czech armed forces since conscription ended in 2005.

The USG's working relationships with Czech entities involved in combating terrorism have improved significantly since their representatives attended various USG-sponsored counter-terrorism programs.

FY 2006 Funds Budgeted for U.S. Government Assistance to Czech Republic [PDF format]